**Listing:**
/*
Entry from the Alexandria database: a relaxed Rb3Cr2CuF9 crystal (PBE+U).

The structure in POSCAR format:
```
Rb3Cr2CuF9
1.0
5.9746 0.0000 0.0000
-2.9873 5.1741 0.0000
0.0000 0.0000 7.3461
Rb Cr Cu F
3 2 1 9
direct
0.3333 0.6667 0.6538
0.0000 0.0000 0.0000
0.6667 0.3333 0.3462
0.3333 0.6667 0.1634
0.6667 0.3333 0.8366
0.0000 0.0000 0.5000
0.8277 0.1723 0.6783
0.8277 0.6554 0.6783
0.3446 0.1723 0.6783
0.6554 0.8277 0.3217
0.1723 0.3446 0.3217
0.1723 0.8277 0.3217
0.5000 0.0000 0.0000
0.0000 0.5000 0.0000
0.5000 0.5000 0.0000
```

Properties
symmetry	P-3m1
Fermi-level density of states	0.246	states/eV per atom
energy	-5.09	eV per atom


# 1
## PPbO3 (meta-GGA SCAN)

Data for PPbO3 at its PBEsol-relaxed geometry.

## Properties
Uncorrected formation energy   -1123 meV per atom
Space group   Pm-3m (221)
Total energy   -22.098 eV per atom

```
5
Lattice="3.811 0.000 0.000 0.000 3.811 0.000 0.000 0.000 3.811" Properties=species:S:1:pos:R:3 pbc="T T T"
O 0.000 1.905 1.905
O 1.905 0.000 1.905
O 1.905 1.905 0.000
P 1.905 1.905 1.905
Pb 0.000 0.000 0.000
```



# 2
## LiZrBe (meta-GGA SCAN)

Data for LiZrBe at its PBEsol-relaxed geometry.

## Properties
Energy of formation from the pure elements   0.31 eV/atom
Space group   Imm2 (44)
Total energy   -12.168 eV per atom

```
3
Lattice="2.697 0.000 0.000 0.000 4.174 0.000 -1.348 -2.087 4.059" Properties=species:S:1:pos:R:3 pbc="T T T"
Be 1.348 2.087 4.018
Zr 0.000 0.000 2.777
Li 1.348 2.087 1.324
```



# 3
## CdP3 (meta-GGA SCAN)

Data for CdP3 at its PBEsol-relaxed geometry.

## Properties
Energy of formation from the pure elements   0.91 eV/atom
Relative energy among the computed polymorphs   967.6 meV/atom
Space group   Pm-3n (223)
Total energy   -14.497 eV per atom

```
8
Lattice="-2.199 -0.140 4.617 3.013 -3.919 1.316 3.501 3.285 1.767" Properties=species:S:1:pos:R:3 pbc="T T T"
Cd 0.000 0.000 0.000
Cd 2.157 -0.387 3.850
P -0.143 -2.064 4.121
P 0.957 -1.995 1.812
P 4.010 -1.297 1.871
P 2.504 0.663 1.213
P -0.224 0.751 2.750
P 1.526 2.394 3.634
```



# 4
## ScTlCoBi2 (meta-GGA SCAN)

Data for ScTlCoBi2 at its PBEsol-relaxed geometry.

## Properties
Energy of formation from the pure elements   1.23 eV/atom
Space group   P4/mmm (123)
Total energy   -50.984 eV per atom

```
5
Lattice="-2.719 -0.086 4.578 -1.068 -5.501 -0.737 4.741 -1.294 2.791" Properties=species:S:1:pos:R:3 pbc="T T T"
Sc -1.359 -0.043 2.289
Tl 0.000 0.000 0.000
Co 0.477 -3.440 3.316
Bi 2.370 -0.647 1.396
Bi -0.534 -2.750 -0.369
```



# 5
## CdRhNO2 (meta-GGA SCAN)

Data for CdRhNO2 at its PBEsol-relaxed geometry.

## Properties
Uncorrected formation energy   1243 meV per atom
Space group   P4/mmm (123)
Total energy   -15.945 eV per atom

```
5
Lattice="-0.300 3.998 0.786 0.413 -0.753 3.985 4.045 0.372 -0.349" Properties=species:S:1:pos:R:3 pbc="T T T"
N -0.150 1.999 0.393
Rh 2.079 1.809 2.211
O 2.022 0.186 -0.174
O 0.207 -0.376 1.993
Cd 0.000 0.000 0.000
```



# 6
## CdGeAs2O (meta-GGA SCAN)

Data for CdGeAs2O at its PBEsol-relaxed geometry.

## Properties
Uncorrected formation energy   1375 meV per atom
Space group   P4/mmm (123)
Total energy   -17.848 eV per atom

```
5
Lattice="5.007 0.000 0.000 0.000 5.007 0.000 0.000 0.000 5.167" Properties=species:S:1:pos:R:3 pbc="T T T"
As 0.000 2.504 0.000
As 2.504 0.000 0.000
Ge 0.000 0.000 2.584
O 2.504 2.504 2.584
Cd 0.000 0.000 0.000
```


[1]
Density functional theory data (GGA-PBE) for a relaxed structure of Fe2PtN.

Crystal system ... trigonal
ΔE_f (raw) ... -0.018 eV/atom

CIF file:
```
data_Fe2PtN
_symmetry_space_group_name_H-M 'R -3 m'
_symmetry_Int_Tables_number 166
_symmetry_space_group_name_Hall '-R 3 2"'
_cell_length_a 2.8261
_cell_length_b 2.8261
_cell_length_c 19.3663
_cell_angle_alpha 90.00
_cell_angle_beta 90.00
_cell_angle_gamma 120.00
loop_
_atom_site_label
_atom_site_type_symbol
_atom_site_fract_x
_atom_site_fract_y
_atom_site_fract_z
Fe1 Fe 0.0000 0.0000 0.2213
Pt1 Pt 0.0000 0.0000 0.0000
N1 N 0.0000 0.0000 0.5000
```


[2]
*/
**Work order:**
It remains to transcribe only the lines above with the word "pos" in them.
**Written answer:**
Lattice="3.811 0.000 0.000 0.000 3.811 0.000 0.000 0.000 3.811" Properties=species:S:1:pos:R:3 pbc="T T T"
Lattice="2.697 0.000 0.000 0.000 4.174 0.000 -1.348 -2.087 4.059" Properties=species:S:1:pos:R:3 pbc="T T T"
Lattice="-2.199 -0.140 4.617 3.013 -3.919 1.316 3.501 3.285 1.767" Properties=species:S:1:pos:R:3 pbc="T T T"
Lattice="-2.719 -0.086 4.578 -1.068 -5.501 -0.737 4.741 -1.294 2.791" Properties=species:S:1:pos:R:3 pbc="T T T"
Lattice="-0.300 3.998 0.786 0.413 -0.753 3.985 4.045 0.372 -0.349" Properties=species:S:1:pos:R:3 pbc="T T T"
Lattice="5.007 0.000 0.000 0.000 5.007 0.000 0.000 0.000 5.167" Properties=species:S:1:pos:R:3 pbc="T T T"